- - -
The following is a DFT calculation (PBE+U) of MoC3S2Cl7O after structural relaxation.

Properties
Calculated formation energy (kJ/mol of atoms): -46.4
Raw total energy (eV per atom): -4.752
Symmetry: No. 7

Cell lengths 8.379, 10.331, 9.001 Å; angles 90.00, 107.65, 90.00 degrees
Fractional coordinates of all 28 atoms:
Mo 0.000 0.231 0.000
Mo 0.000 0.769 0.500
C 0.419 0.227 0.474
C 0.419 0.773 0.974
C 0.487 0.335 0.421
C 0.487 0.665 0.921
C 0.625 0.307 0.370
C 0.625 0.693 0.870
S 0.507 0.080 0.462
S 0.507 0.920 0.962
S 0.687 0.150 0.374
S 0.687 0.850 0.874
Cl 0.019 0.047 0.163
Cl 0.019 0.953 0.663
Cl 0.260 0.233 0.551
Cl 0.260 0.767 0.051
Cl 0.283 0.189 0.013
Cl 0.283 0.811 0.513
Cl 0.410 0.487 0.422
Cl 0.410 0.513 0.922
Cl 0.707 0.179 0.900
Cl 0.707 0.821 0.400
Cl 0.736 0.419 0.307
Cl 0.736 0.581 0.807
Cl 0.968 0.319 0.748
Cl 0.968 0.681 0.248
O 0.011 0.360 0.119
O 0.011 0.640 0.619


No. 1
! KMg3, relaxed, DFT PBE-GGA; values from VASP
! total moment = 0.0 μB per cell
! SG = No. 225
! formation energy = 0.232 eV per atom
&SYSTEM
  ibrav = 0, nat = 16, ntyp = 2
/
ATOMIC_SPECIES
K 39.10 K.upf
Mg 24.30 Mg.upf
ATOMIC_POSITIONS crystal
K 0.000 0.000 0.000
K 0.000 0.500 0.500
K 0.500 0.000 0.500
K 0.500 0.500 0.000
Mg 0.000 0.000 0.500
Mg 0.000 0.500 0.000
Mg 0.250 0.250 0.250
Mg 0.250 0.250 0.750
Mg 0.250 0.750 0.250
Mg 0.250 0.750 0.750
Mg 0.500 0.000 0.000
Mg 0.500 0.500 0.500
Mg 0.750 0.250 0.250
Mg 0.750 0.250 0.750
Mg 0.750 0.750 0.250
Mg 0.750 0.750 0.750
CELL_PARAMETERS angstrom
7.815 0.000 0.000
0.000 7.815 0.000
0.000 0.000 7.815



No. 2
! K3Mg, relaxed, DFT PBE-GGA; values from VASP
! total moment = 0.0 μB per cell
! SG = No. 194
! formation energy = 0.152 eV per atom
&SYSTEM
  ibrav = 0, nat = 8, ntyp = 2
/
ATOMIC_SPECIES
K 39.10 K.upf
Mg 24.30 Mg.upf
ATOMIC_POSITIONS crystal
K 0.175 0.350 0.250
K 0.175 0.825 0.250
K 0.350 0.175 0.750
K 0.650 0.825 0.250
K 0.825 0.175 0.750
K 0.825 0.650 0.750
Mg 0.333 0.667 0.750
Mg 0.667 0.333 0.250
CELL_PARAMETERS angstrom
8.636 0.000 0.000
-4.318 7.479 0.000
0.000 0.000 6.816



No. 3
! KMg3, relaxed, DFT PBE-GGA; values from VASP
! total moment = 0.0 μB per cell
! SG = No. 139
! formation energy = 0.235 eV per atom
&SYSTEM
  ibrav = 0, nat = 8, ntyp = 2
/
ATOMIC_SPECIES
K 39.10 K.upf
Mg 24.30 Mg.upf
ATOMIC_POSITIONS crystal
K 0.000 0.000 0.000
K 0.500 0.500 0.500
Mg 0.000 0.000 0.500
Mg 0.000 0.500 0.250
Mg 0.000 0.500 0.750
Mg 0.500 0.000 0.250
Mg 0.500 0.000 0.750
Mg 0.500 0.500 0.000
CELL_PARAMETERS angstrom
5.302 0.000 0.000
0.000 5.302 0.000
0.000 0.000 8.497



No. 4
! KMg14Mn, relaxed, DFT PBE-GGA; values from VASP
! total moment = 0.0 μB per cell
! SG = No. 187
! formation energy = 0.251 eV per atom
! ΔE to the lowest computed polymorph = 1.38 eV/f.u.
&SYSTEM
  ibrav = 0, nat = 16, ntyp = 3
/
ATOMIC_SPECIES
K 39.10 K.upf
Mg 24.30 Mg.upf
Mn 54.94 Mn.upf
ATOMIC_POSITIONS crystal
K 0.000 0.000 0.000
Mg 0.010 0.505 0.000
Mg 0.163 0.326 0.275
Mg 0.163 0.326 0.725
Mg 0.163 0.837 0.275
Mg 0.163 0.837 0.725
Mg 0.495 0.505 0.000
Mg 0.495 0.990 0.000
Mg 0.504 0.008 0.500
Mg 0.504 0.496 0.500
Mg 0.667 0.333 0.243
Mg 0.667 0.333 0.757
Mg 0.674 0.837 0.275
Mg 0.674 0.837 0.725
Mg 0.992 0.496 0.500
Mn 0.000 0.000 0.500
CELL_PARAMETERS angstrom
6.468 0.000 0.000
-3.234 5.602 0.000
0.000 0.000 10.198



No. 5
! KMg14Mn, relaxed, DFT PBE-GGA; values from VASP
! total moment = 3.8 μB per cell
! SG = No. 38
! formation energy = 0.165 eV per atom
! ΔE to the lowest computed polymorph = 0.00 eV/f.u.
&SYSTEM
  ibrav = 0, nat = 16, ntyp = 3
/
ATOMIC_SPECIES
K 39.10 K.upf
Mg 24.30 Mg.upf
Mn 54.94 Mn.upf
ATOMIC_POSITIONS crystal
K 0.000 0.000 0.000
Mg 0.000 0.006 0.497
Mg 0.000 0.497 0.006
Mg 0.241 0.663 0.663
Mg 0.256 0.176 0.654
Mg 0.256 0.654 0.176
Mg 0.263 0.170 0.170
Mg 0.500 0.500 0.500
Mg 0.500 0.501 0.998
Mg 0.500 0.998 0.501
Mg 0.500 0.998 0.998
Mg 0.737 0.170 0.170
Mg 0.744 0.176 0.654
Mg 0.744 0.654 0.176
Mg 0.759 0.663 0.663
Mn 0.000 0.496 0.496
CELL_PARAMETERS angstrom
- - -
Search the entries further above for the word "nat" and print each line that has it.
  ibrav = 0, nat = 16, ntyp = 2
  ibrav = 0, nat = 8, ntyp = 2
  ibrav = 0, nat = 8, ntyp = 2
  ibrav = 0, nat = 16, ntyp = 3
  ibrav = 0, nat = 16, ntyp = 3